8:45 am - Sunday School
10:00 am - Worship
4:00pm - Youth Group: Haw Creek
-- Here the entry breaks off for quantum chemistry results --
____________
This record from the OMol25 dataset describes C34H60BN3OP3Ru as an isolated structure. The level of theory is ωB97M-V/def2-TZVPD.

## Properties
**ΔE to the lowest compared entry with this formula, charge and spin**: 9.1 kcal per mole
**Highest occupied orbital energy (spin up / spin down)**: -12.5 / -12.5 eV
**2S+1**: 2
**Net charge**: +2

Each line ends with the Löwdin spin population.
Atoms and positions in Å:
Ru1 -0.0720 0.2310 -0.4920  1.074
C1 5.7190 -0.3950 0.3395  -0.001
C2 4.5845 0.6271 0.4298  -0.004
C3 4.2442 0.8409 1.9181  0.000
C4 5.0684 1.9474 -0.1864  0.000
P1 2.9424 0.0547 -0.3686  -0.028
C5 3.0229 -1.6799 0.2844  -0.004
N1 1.8262 -2.3924 -0.0248  -0.006
B1 0.4918 -1.8663 -0.0016  -0.031
N2 -0.3225 -2.9344 -0.5019  -0.006
C6 -1.7135 -2.9329 -0.8446  0.001
P2 -2.3460 -1.1933 -0.8893  -0.006
C7 -3.3476 -1.1478 0.7106  0.001
C8 -3.9121 0.2545 0.9547  0.000
C9 -2.3343 -1.4313 1.8287  0.010
C10 -4.4906 -2.1622 0.7421  0.000
C11 -3.4136 -1.2685 -2.4454  -0.002
C12 -4.2118 -2.5569 -2.6282  -0.001
C13 -2.3801 -1.1106 -3.5769  0.000
C14 -4.3707 -0.0736 -2.4725  0.000
C15 0.4800 -4.0213 -0.8156  -0.001
C16 0.1533 -5.2659 -1.3436  0.000
C17 1.1809 -6.1620 -1.5723  0.000
C18 2.5069 -5.8293 -1.2823  0.000
C19 2.8394 -4.5954 -0.7555  0.000
C20 1.8124 -3.6847 -0.5214  -0.001
C21 3.0313 -0.1322 -2.2617  -0.001
C22 1.6506 -0.5792 -2.7412  0.034
C23 4.0723 -1.1342 -2.7541  0.000
C24 3.2959 1.2589 -2.8520  0.000
H1 6.6133 0.0734 0.7568  0.000
H2 5.9531 -0.6783 -0.6842  0.000
H3 5.5283 -1.2931 0.9245  0.000
H4 5.0342 1.4281 2.3881  0.000
H5 4.1793 -0.1020 2.4610  0.000
H6 3.3040 1.3726 2.0618  0.000
H7 5.7487 2.4375 0.5119  0.000
H8 4.2556 2.6404 -0.3982  0.000
H9 5.6282 1.7704 -1.1038  0.000
H10 3.1475 -1.5881 1.3659  0.000
H11 3.8909 -2.1939 -0.1195  -0.001
H12 -2.2975 -3.5497 -0.1589  0.000
H13 -1.8138 -3.3585 -1.8434  0.000
H14 -3.0932 0.9619 1.0654  0.001
H15 -4.4956 0.2514 1.8776  0.000
H16 -4.5608 0.5919 0.1475  0.000
H17 -1.4839 -0.7384 1.7667  0.007
H18 -1.9431 -2.4490 1.7973  0.000
H19 -2.8152 -1.2890 2.7981  0.000
H20 -5.3189 -1.8358 0.1128  0.000
H21 -4.8654 -2.2373 1.7645  0.000
H22 -4.1920 -3.1615 0.4278  0.000
H23 -3.6191 -3.4643 -2.5282  0.000
H24 -4.6255 -2.5537 -3.6388  0.000
H25 -5.0467 -2.6179 -1.9319  0.000
H26 -1.7392 -1.9901 -3.6713  0.000
H27 -1.7425 -0.2393 -3.4011  0.000
H28 -2.8901 -0.9697 -4.5313  0.000
H29 -5.2206 -0.2313 -1.8077  0.000
H30 -4.7643 0.0574 -3.4822  0.000
H31 -3.8574 0.8402 -2.1848  0.000
H32 -0.8725 -5.5419 -1.5506  0.000
H33 0.9574 -7.1382 -1.9797  0.000
H34 3.2848 -6.5581 -1.4632  0.000
H35 3.8698 -4.3622 -0.5200  0.000
H36 1.4264 -1.6101 -2.4688  0.000
H37 1.5975 -0.5032 -3.8293  0.002
H38 0.8669 0.1023 -2.3463  0.011
H39 3.8880 -2.1391 -2.3714  0.000
H40 5.0809 -0.8297 -2.4821  0.000
H41 4.0370 -1.1879 -3.8446  0.000
H42 2.6283 2.0060 -2.4099  0.000
H43 3.1177 1.2461 -3.9292  0.000
H44 4.3230 1.5782 -2.6977  0.000
C25 2.1375 3.2615 0.5769  -0.004
P3 0.4887 2.5532 0.2217  -0.034
____________
-- The quantum chemistry results stop here --
10:00 am - Worship
4:00pm - Youth Group: Haw Creek

Mission Statement
Whoever you are, wherever you're from, you are welcome here.
Central United Methodist Church in Asheville Youth Ministries exists to inspire, empower and include all youth by being transformed through relationships with God and our community. Youth Ministries open up opportunities each week to help 6th – 12th-grade youth connect with each other and grow in their faith. We are an inclusive, Christ-centered, service-oriented, fun, graceful, innovative, and relational community. We hope you will join us on a Sunday morning or evening. Our youth arena is located on the 4th floor of the church, up the main stairs, and to the right.
Contact: Rev. Caroline Camp, Minister of Youth Discipleship, | 828-253-3316 ext. 1304
Contact: Rev. Caroline Camp, Minister of Youth Discipleship, | 828-253-3316 ext. 1304
Youth Weekly Programming
Sunday morning we gather in the Youth Arena at 8:45 am to talk about our weeks and participate in creative, engaging, and relevant ways of learning about who God is and what that means for our lives. We wrap up at 9:45am in time for youth to join their families for worship at 10:00 am.
On Sunday afternoons we engage in a variety of ways of growing in our faith and engaging God’s presence in our lives. Each Sunday has a different focus: Love, Grow, and Serve. We always have food, wild and outlandish fun, and a time to gather and explore faith with each other.
On Sunday afternoons we engage in a variety of ways of growing in our faith and engaging God’s presence in our lives. Each Sunday has a different focus: Love, Grow, and Serve. We always have food, wild and outlandish fun, and a time to gather and explore faith with each other.
Sunday School | 8:45 am - 9:45 am | 4th Floor Youth Arena
We gather every Sunday morning for donuts, fellowship, and discussion about life and faith. It’s a great way to start your week and we hope you’ll join us!
Youth Group | 4:00pm – 6:00pm | Central Haw Creek
We gather every Sunday afternoon at our campus in the Haw Creek neighborhood. We open with games and activities before transitioning into a time of learning and discussion. We use this time to grow closer to God and to each other. We close each meeting around the table with a snack supper and prayer.
Youth Retreats
We have several annual retreats. We host fall, winter, and spring weekend retreats. Each retreat is grounded in scripture and fun. Our themes come from scripture and Christian theology. Past themes have included “Genesis and Creation”, “Friend of God”, and the Lord’s Prayer. Retreats are close enough for a weekend trip but far enough away to get away from the noise of everyday life and engage in God’s presence through times with friends, relaxing, playing, and worshiping!
Youth Mission Trips
Every summer we roll up our sleeves, get our hands dirty, and serve our community here in Asheville and beyond. These trips are for all of our youth. Summer mission opportunities are open to rising 7th graders and above. We invite all teenagers to join us as we seek to be Christ’s hands and feet in our world.
Local Service
We believe that a big part of being God’s people in the world is serving those in need and on the margins because that is where Christ can be found. Service is an incredibly important way for youth to express their faith, so we do tons of stuff in our church and community. Our Youth Service Team meets once a month for a service project outside of regular youth programming. We have served at Haywood Street Congregation, Habitat for Humanity, and our local neighborhood. Some opportunities are age restricted. We try to serve in different capacities all year round to give our teenagers the opportunity to be Christlike presence in the world in as many ways as possible.
Youth Events
One of our core beliefs is that an element to a vibrant faith life is one in which we have fun! We have a lot of events each year that are for that very purpose. From kick off events to the Fall Festival to Christmas parties to the winter lock-in, we do it all. Whether we stay in or go out, youth events are always a great time!
Wilderness Trail
Wilderness Trail takes people out of their comfort zone and from their day-to-day life and places them in the beauty of God’s creation. Wilderness Trail places people into groups of around eleven people and puts them on a journey for the week, exploring the backcountry of the Blue Ridge Mountains of Virginia by backpacking. It’s an amazing personal and group experience.
Maureen Carr Memorial UWF Scholarship
United Women in Faith is now accepting applications for the Maureen Carr Memorial UWF Scholarship. Two awards of $1000 each will be given to high school seniors and/or college students who are active at Central UMC.
Applications are available in the church office, here, or by emailing
The application should be completed and returned by May 1, 2025. A member of the Scholarship Committee will notify the recipient of the award by June 1, 2025. The award will be paid directly to any accredited school or college in August 2025.
If you have questions, please contact Alexandra Holland, Scholarship Committee Chair, at the above email address.
Maureen Carr was an active member of United Women in Faith, filling many roles, including Central’s UWF President for several years. She was commissioned as a Deaconess in the United Methodist Church in 1965. In that role she served as a nurse in hospitals in Florida and Texas. Upon retirement, she moved to Asheville and became the Parish Nurse at Central. Maureen was crucial in reestablishing the UWF scholarship at Central.
After her death in 2021, the Executive Committee of Central’s UWF decided to honor her memory by naming the scholarship after her. We are very grateful for her leadership in helping women, children, and youth.
Applications are available in the church office, here, or by emailing
The application should be completed and returned by May 1, 2025. A member of the Scholarship Committee will notify the recipient of the award by June 1, 2025. The award will be paid directly to any accredited school or college in August 2025.
If you have questions, please contact Alexandra Holland, Scholarship Committee Chair, at the above email address.
Maureen Carr was an active member of United Women in Faith, filling many roles, including Central’s UWF President for several years. She was commissioned as a Deaconess in the United Methodist Church in 1965. In that role she served as a nurse in hospitals in Florida and Texas. Upon retirement, she moved to Asheville and became the Parish Nurse at Central. Maureen was crucial in reestablishing the UWF scholarship at Central.
After her death in 2021, the Executive Committee of Central’s UWF decided to honor her memory by naming the scholarship after her. We are very grateful for her leadership in helping women, children, and youth.

Upcoming events
Youth & Children's Calendar
Adult Discipleship
Central. Serves.
Central. Haw Creek.
Central. Congregational Care.
Worship & Music
Creation Care